Hello Fellow Members,
There are lots of new and exciting activities and events as we start 2015.
Outreach Committee – Nadine Muller and Jean Gunn, Co-Chairs:
Next Meeting on February 5, 10am at 817 Montecillo Rd., San Rafael – everyone welcome
The Outreach Committee held its monthly meeting on January 7, 2015 at the home of Nancy Frease. Members reported on Grand Jury recruiting events that were held since last month’s meeting.
• January 4, 2015 Idgi D’Andrea and Fred Silverman spoke at The Redwoods Retirement Community in Mill Valley. Idgi focused on educating the group about the Grand Jury process and her experience, while Fred discussed an example of the Jury’s work: the 2014 Grand Jury report “Aging In Marin: What’s the Plan?”
• December 16, 2014 Jean Gunn met with the San Rafael Harbor Rotary, outlining the Civil Grand Jury history, application process, and her personal experience serving on the previous year’s jury. Brochures and applications were provided.
A number of activities targeted to attract Grand Jury candidates are scheduled over the next 30 days:
• January 22, 2015 Nadine Muller and Jean Gunn have been invited by a former grand juror to make a recruiting presentation to residents at the Marin Villas.
• February 12, 2015 Outreach Committee is holding an informational meeting at the San Rafael Community Center, which will be publicized throughout the county.
• February 2015 Nancy Frease will host a Grand Jury informational coffee at her home that will publicized throughout surrounding neighborhoods via social media.
• January 2015 Reva Safer has placed a timely announcement in the Marin Villages Jan/Feb newsletter aimed at attracting grand jury candidates.
• January 2015 Nadine Muller has written a great article on the Grand Jury process for The Marin Lawyer, the journal newsletter for the Marin County Bar Association encouraging.
• We will begin placing a variety of ads in the IJ (and possibly other newspapers) starting on January 18th and running multiple days every week through the first week in April. (Example of first ad below)

Implementation Review Committee – Tom Borden and Helene Marsh, Co-Chairs:
Meetings on first Thursday each month, 1-3pm, room 410B at Civic Center – everyone welcome
• We’d like to acknowledge John Carlson, the IRC’s first Chairperson, whose dedication and hard work brought the IRC from a “nice idea” two years ago to a roaring reality today. Due to time commitments and family needs John is transferring the leadership reins to the current Co-Chairperson, Tom Borden. Fortunately, John is remaining an active member of the IRC. In an effort to strengthen the leadership and provide coverage, Helene Marsh has agreed to take over the role of Co-Chairperson for the IRC Committee along with Tom.
Status of follow-ups on reports published in 2012-13:
• The summary for the report Retirement Health Care Benefits: The Money Isn’t There has been posted on the IRC webpage. This summary is the most detailed, comprehensive, and “colorful” of all of our follow-ups so far. (You’ll need to see it to fully understand this description.)
Status of follow-ups on reports published in 2013-14:
• The Scoop, Parts 1 & 2- Letters are going out to two districts that have not posted responses. In addition, follow-up letters have been sent to nine of the districts named in the report. Others are pending.
• Recycling- Follow-up letters have been sent to the Board of Supervisors requesting information on all recommendations where their response indicated that further analysis was required. Also, a letter was sent to Sheriff Doyle requesting information on the agreed upon implementation of the recommendation to develop a system to compost post-consumer waste from the jail.
• Get the Picture- Letters will be sent to sent the agencies that have indicated that they were analyzing and/or testing on-body cameras to get an update on their progress.
• Jail Checkup- A follow-up letter will be sent out to one of the respondents asking for and update on information regarding a recommendation requiring further study.

Social Committee – Nancy Frease, Chair:
Here the entry breaks off for data records
- - -
Entry 1:
Material: Na6La6Nb2Si5S7O48
Method: DFT, GGA-PBE
State: relaxed

Results
* magnetic moment: 0.001 μB/f.u.
* final energy: -7.040 eV/atom

Structure (CIF):
```
data_Na6La6Nb2Si5S7O48
_cell_length_a 9.446
_cell_length_b 16.245
_cell_length_c 24.667
_cell_angle_alpha 90.31
_cell_angle_beta 90.11
_cell_angle_gamma 90.02
_symmetry_space_group_name_H-M 'P 1'
_symmetry_Int_Tables_number 1
_symmetry_space_group_name_Hall 'P 1'
loop_
_atom_site_label
_atom_site_type_symbol
_atom_site_fract_x
_atom_site_fract_y
_atom_site_fract_z
Na1 Na 0.000 0.000 0.000
Na2 Na 0.000 0.005 0.501
Na3 Na 0.001 0.338 0.830
Na4 Na 0.005 0.346 0.336
Na5 Na 0.178 0.156 0.580
Na6 Na 0.190 0.509 0.575
Na7 Na 0.309 0.009 0.086
Na8 Na 0.323 0.653 0.084
Na9 Na 0.500 0.502 0.495
Na10 Na 0.502 0.178 0.178
Na11 Na 0.502 0.506 0.005
Na12 Na 0.502 0.835 0.330
Na13 Na 0.506 0.832 0.825
Na14 Na 0.510 0.165 0.649
Na15 Na 0.633 0.329 0.581
Na16 Na 0.870 0.828 0.084
Na17 Na 0.993 0.662 0.155
Na18 Na 0.996 0.677 0.673
La1 La 0.000 0.669 0.809
La2 La 0.003 0.335 0.978
La3 La 0.007 0.006 0.152
La4 La 0.013 0.337 0.478
La5 La 0.017 0.335 0.684
La6 La 0.485 0.833 0.186
La7 La 0.493 0.830 0.981
La8 La 0.494 0.505 0.652
La9 La 0.501 0.836 0.476
La10 La 0.502 0.170 0.310
La11 La 0.502 0.500 0.146
La12 La 0.509 0.155 0.517
La13 La 0.512 0.169 0.815
La14 La 0.532 0.179 0.009
La15 La 0.982 0.668 0.501
La16 La 0.994 0.664 0.317
La17 La 0.996 0.652 0.019
La18 La 0.998 0.999 0.644
Nb1 Nb 0.007 0.013 0.338
Nb2 Nb 0.008 0.999 0.847
Nb3 Nb 0.020 0.342 0.191
Nb4 Nb 0.478 0.500 0.352
Nb5 Nb 0.483 0.837 0.685
Nb6 Nb 0.497 0.514 0.838
Si1 Si 0.145 0.478 0.085
Si2 Si 0.151 0.515 0.414
Si3 Si 0.155 0.861 0.747
Si4 Si 0.195 0.838 0.078
Si5 Si 0.199 0.498 0.748
Si6 Si 0.303 0.998 0.248
Si7 Si 0.308 0.337 0.580
Si8 Si 0.353 0.361 0.248
Si9 Si 0.357 0.980 0.584
Si10 Si 0.641 0.660 0.744
Si11 Si 0.648 0.688 0.082
Si12 Si 0.686 0.663 0.408
Si13 Si 0.815 0.163 0.909
Si14 Si 0.852 0.189 0.582
Si15 Si 0.862 0.160 0.244
S1 S 0.142 0.144 0.754
S2 S 0.142 0.833 0.409
S3 S 0.153 0.193 0.085
S4 S 0.187 0.158 0.410
S5 S 0.315 0.660 0.910
S6 S 0.334 0.018 0.911
S7 S 0.350 0.695 0.586
S8 S 0.360 0.331 0.909
S9 S 0.360 0.645 0.254
S10 S 0.643 0.329 0.412
S11 S 0.646 0.987 0.080
S12 S 0.648 0.361 0.753
S13 S 0.675 0.017 0.408
S14 S 0.707 0.993 0.749
S15 S 0.719 0.332 0.086
S16 S 0.781 0.830 0.587
S17 S 0.802 0.494 0.246
S18 S 0.827 0.517 0.908
S19 S 0.854 0.488 0.581
S20 S 0.856 0.860 0.252
S21 S 0.857 0.831 0.911
O1 O 0.069 0.224 0.759
O2 O 0.070 0.570 0.089
O3 O 0.073 0.916 0.401
O4 O 0.082 0.420 0.138
O5 O 0.083 0.796 0.460
O6 O 0.085 0.091 0.800
O7 O 0.086 0.918 0.080
O8 O 0.090 0.229 0.411
O9 O 0.092 0.108 0.087
O10 O 0.094 0.422 0.411
O11 O 0.094 0.903 0.695
O12 O 0.097 0.081 0.400
O13 O 0.097 0.569 0.364
O14 O 0.101 0.231 0.035
O15 O 0.101 0.753 0.071
O16 O 0.102 0.430 0.030
O17 O 0.107 0.769 0.759
O18 O 0.108 0.581 0.755
O19 O 0.109 0.922 0.801
O20 O 0.110 0.242 0.134
O21 O 0.113 0.778 0.363
O22 O 0.114 0.104 0.702
- - -
End of the data records
If you are interested in joining contact Chair
• The revitalized social committee hosted two speaker luncheons in September and November. Two team members from Marin FAST discussed scams directed at seniors and how to avoid falling for them. Judge Beverly Wood described her work with the Community Court, which serves homeless and low income residents in Marin. In December, the committee organized a Holiday Party for past and present members that was well attended. In the coming months, we will host another speaker luncheon to coincide with Chapter elections and prepare for the reception for the new jury in July.
Communications Committee – Gene Dyer, Chair:
If you would like to help with the News Letter or web site updates please contact Gene.
Always new things on our website – https://mccgja.org/
Membership Committee – Owen Haxton, Chair:
If you are interested in joining contact Chair
• Identifying the process necessary for members to be able to take tax deductions for membership dues.
• Gearing up for membership drive with seated Grand Jury.
Orientation Committee – Betty Mattea, Chair:
If you are interested in joining contact Chair
Gearing up for orientation process to begin in April
Training Committee – Catherine McKown, Chair:
If you are interested in joining contact Chair
Gearing up for training process to begin in May